View Full Version : wondering why Albig closes eyes

03-08-03, 12:45 PM
Why do you suppose my Albig closes his eyes when rubbed or patted on her head, I have my own ideas, however i am courious as to the right answer. lol

## Molecular data from another source follow
=====
Molecular formula: C4H8O2
Method: DFT, wB97M-V/def2-TZVPD

Geometry (Å):
O (0.436, -0.984, -0.292)
O (-0.694, -0.459, 2.198)
C (-0.314, 1.244, 0.466)
C (-0.003, 0.634, 1.817)
C (0.787, 0.289, 0.133)
C (-0.054, -1.035, -1.628)
H (-1.297, 1.000, 0.060)
H (-0.315, -2.079, -1.827)
H (0.711, -0.713, -2.348)
H (-0.078, 2.305, 0.362)
H (1.172, 0.410, 1.629)
H (-1.146, -0.882, 1.444)
H (-0.945, -0.404, -1.758)
H (1.739, 0.674, -0.257)

- SMILES = CO[C@H]1C[C@H]1O
- energy relative to the best compared isomer or geometry (same formula, charge and spin) (kJ/mol) = 479.64
- HOMO (hartree) = -0.2973
- electronic energy (Eh) = -307.5297
- total charge = 0
- Kohn-Sham gap (eV) = 8.977



Molecular formula: C9H14O
Method: DFT, wB97M-V/def2-TZVPD

Geometry (Å):
O (-2.537, 1.951, 1.808)
C (-1.531, -0.202, 1.749)
C (-0.679, -1.030, 1.046)
C (0.697, -0.924, -3.230)
C (-0.179, 1.672, 1.245)
C (1.720, -1.368, 0.154)
C (-1.410, 1.180, 1.692)
C (0.784, 0.818, 0.768)
C (1.990, -1.113, -4.028)
C (0.546, -0.558, 0.584)
H (-2.601, 2.475, 1.009)
H (-2.408, -0.646, 2.205)
H (2.473, -1.017, -0.555)
H (0.513, -1.800, -2.607)
H (0.564, -0.113, -2.505)
H (1.475, -2.176, -0.517)
H (2.068, -2.146, -4.351)
H (-0.104, 2.744, 1.400)
H (1.978, -0.396, -4.849)
H (2.187, -1.809, 1.032)
H (1.777, 1.155, 0.504)
H (-0.853, -2.071, 0.789)
H (2.893, -0.814, -3.498)
H (-0.096, -0.665, -3.932)

- SMILES = Cc1ccc(O)cc1.CC
- energy relative to the best compared isomer or geometry (same formula, charge and spin) (kJ/mol) = 136.00
- HOMO (hartree) = -0.3116
- electronic energy (Eh) = -426.5210
- total charge = 0
- Kohn-Sham gap (eV) = 9.307



Molecular formula: C4H7NO
Method: DFT, wB97M-V/def2-TZVPD

Geometry (Å):
O (-2.817, 0.241, 0.987)
N (0.626, -0.011, -0.182)
C (0.471, -0.967, -1.108)
C (-0.455, 0.117, 0.823)
C (-1.860, 0.077, 0.268)
C (1.662, 0.808, -0.026)
H (1.203, -1.080, -1.903)
H (1.573, 1.649, 0.644)
H (-0.361, -0.705, 1.537)
H (-1.930, -0.119, -0.813)
H (-0.356, 1.064, 1.361)
H (2.523, 0.648, -0.659)
H (-0.278, -1.722, -0.929)

- energy relative to the best compared isomer or geometry (same formula, charge and spin) (kJ/mol) = 349.34
- HOMO (hartree) = -0.2598
- electronic energy (Eh) = -286.4986
- total charge = 0
- Kohn-Sham gap (eV) = 7.795



Molecular formula: C19H31N6O
Method: DFT, wB97M-V/def2-TZVPD

Geometry (Å):
O (-3.357, 1.744, -0.698)
N (2.309, 0.727, 0.339)
N (-3.280, -0.745, 2.592)
N (-0.139, -0.381, -0.611)
N (-1.326, -1.258, 1.912)
N (-2.136, -1.131, 2.952)
N (-3.273, -0.594, 1.267)
C (-2.024, -0.926, 0.848)
C (1.351, 1.561, -0.341)
C (-1.712, -3.471, -0.290)
C (-2.870, -2.331, -2.191)
C (-0.047, 1.002, -0.080)
C (5.770, 0.321, 1.216)
C (-1.542, -0.913, -0.561)
C (0.897, -1.217, 0.051)
C (5.608, 0.179, -0.295)
C (-4.308, 3.595, 0.099)
C (2.271, -0.606, -0.211)
C (3.622, 1.319, 0.567)
C (-1.651, -2.297, -1.267)
C (4.593, 1.268, -0.635)
C (-4.859, 2.479, 0.779)
C (4.357, 0.615, 1.726)
C (-4.421, -0.077, 0.558)
C (-3.406, 3.092, -0.781)
C (-4.258, 1.377, 0.256)
=====

in advance

03-08-03, 12:57 PM
I don't have a moniter but this issue has been heavily discussed on the iguana forums I visit.

It seems people have three main points they discuss the most, debating which one is right....

<<<
1.
A molecular structure, C28H28N10O4SScSe at a distorted geometry. Source: the OMol25 dataset; level of theory: ωB97M-V with the def2-TZVPD basis set.

Its net charge is -1. As for the energy relative to the best compared isomer or geometry (same formula, charge and spin): 317.5 kJ/mol.

```
73
Properties=species:S:1:pos:R:3:lowdin_charge:R:1
C -15.11 7.51 7.81 -0.213
C -13.97 6.93 4.22 -0.058
O -13.57 8.80 12.23 -0.134
N -16.08 10.72 5.62 0.044
O -11.77 15.80 10.33 0.067
C -13.11 13.36 10.28 0.041
H -9.35 14.15 9.17 0.097
H -10.44 12.45 8.30 0.127
H -17.05 10.91 5.31 0.073
H -15.09 9.37 14.10 0.056
C -16.89 10.35 11.66 -0.424
H -19.93 12.26 14.28 0.085
C -15.63 5.75 6.15 -0.054
C -17.10 10.63 13.95 -0.483
H -14.88 12.17 10.17 0.124
H -15.49 11.55 5.74 0.087
C -12.80 6.35 14.70 -0.234
C -16.05 9.86 6.70 -0.957
C -11.95 11.21 9.10 -0.062
N -16.55 10.03 12.89 0.181
N -14.90 9.82 7.32 -0.038
C -11.81 7.22 9.55 -0.881
C -13.47 8.36 13.41 -0.457
H -12.52 6.32 15.72 -0.073
N -9.94 14.97 9.28 0.160
C -15.67 6.24 11.20 -0.085
H -14.16 5.10 3.15 0.085
C -18.68 11.73 12.39 -0.058
H -16.35 5.25 6.78 0.119
H -11.78 7.04 12.90 0.098
C -15.04 7.01 6.47 -0.198
Sc -14.33 9.13 10.26 0.965
N -14.82 8.79 8.22 -0.122
O -16.15 10.02 10.63 -0.178
H -9.45 15.81 9.50 0.094
C -18.93 12.06 14.71 -0.055
H -13.39 5.49 14.37 -0.047
H -14.51 4.63 7.91 0.132
C -12.28 7.41 13.86 -0.316
S -17.45 8.99 7.21 0.535
C -15.14 6.52 8.94 -0.171
H -16.09 4.20 11.85 0.119
C -15.67 4.86 11.06 -0.049
H -18.94 11.43 15.56 0.077
H -14.46 8.13 15.21 0.098
C -11.34 12.44 8.96 -0.004
N -12.56 8.08 9.87 -0.037
C -11.84 13.57 9.61 -0.115
H -15.57 4.07 4.94 0.090
H -11.45 10.30 8.87 0.107
C -14.45 5.64 4.02 -0.089
C -18.07 11.16 11.33 0.024
H -19.46 12.53 12.40 0.132
C -13.80 12.23 10.02 -0.127
H -11.60 8.11 14.36 0.093
N -18.20 11.48 13.65 -0.085
N -13.23 11.11 9.58 0.021
C -15.09 4.30 9.92 -0.037
N -15.29 7.06 10.20 0.042
H -14.78 3.23 9.88 0.126
C -14.90 5.14 8.83 -0.022
Se -10.66 5.88 9.17 0.442
H -16.14 6.76 12.08 0.148
C -14.26 7.60 5.45 0.012
C -11.24 14.86 9.75 -0.497
N -14.31 8.75 14.38 0.167
H -18.33 11.19 10.26 0.114
H -13.58 14.18 10.86 0.140
O -16.88 10.38 15.15 0.019
C -15.27 5.08 5.00 -0.087
H -13.91 8.64 5.58 0.106
H -13.33 7.39 3.48 0.093
H -18.52 13.07 14.94 0.107
```

=====

2.
CH4N2O in the gas phase at a distorted geometry. Source: the OMol25 dataset; level of theory: ωB97M-V with the def2-TZVPD basis set.

As for the SMILES: [H]/N=C(\N)O. As for the energy relative to the best compared isomer or geometry (same formula, charge and spin): 124.9 kJ/mol.

```
8
Properties=species:S:1:pos:R:3:lowdin_charge:R:1
H 1.57 -1.08 0.77 0.140
H -1.49 0.55 0.97 0.097
N 0.71 -0.52 -0.96 0.101
N -0.97 0.56 0.11 0.133
O 0.72 -0.72 1.19 0.041
C 0.14 -0.17 0.11 -0.676
>>>
The text goes on =

1. They close their eyes because they are trying to block you out...much the same way a blanket throw over a large iguana (not sure if this works for moniters) calms them down.

2. They close them because they like it.

3. Sometimes they close the eye thats near you, and leave the opposite eye open, some people think this means they "trust" you and only need to look out for danger with the other eye, but some think this means they are trying to block you out.

I am not sure whats true. For my iguana, closing her eyes definitly is her way of blocking me out. lol

And again, I am not sure about Moniters. And there might be other reasons...those are just the ones I have heard.


03-09-03, 08:13 AM
Thanks Marisa,

Well all your answers see reasionable to me.
I guess we will never really know unless we can wire up electrodes to there brains, and look at the patterns,
but thats not a progect fo me.


Gregg M
03-09-03, 10:42 AM
If you look on the top of your monitors head ther is a scale that is different looking than the others........ It is almost like a third eye...... It has been said that it acts much like a light sensor...... It lets the monitor know when to wake up....... There is an optic nerve running from that scale straight to the monitors brain...... If you have ever looked at a varanid skull there is a hole right where the scale would be....... It is not yet known exactly why it is there but what I just mentioned is one of the thoughts....... Try to locate the scale and put your finger on it to see if you monitor closes its eyes....... I bet it will....... The scale is right in the middle of the head almost between the eyes.....

03-09-03, 11:12 AM
Very Interesting Gregg thanks for your insight, I wondered what that "Scale" thing was all about.

I found the scale and put my finger on it he did not close his eyes this time, however, when I stroked her head (Hmm) she closed her eyes.

Great info Gregg maybe next time, I will let you know.


03-09-03, 05:42 PM
That scale is the Pineal eye organ, the most primitive a vertebrate, the more advanced this organ is; in reptiles acts as a third eye, in humans, recessed in the inner brain and does -0-.

Anything coming from above is a percieved threat to a varanid, and closing the eyes protects them from said threat; some varanidss when threat is near play possum, including the african forms which go limp, except V. exanthematicus which rolls over on its back and bites its rear leg, eyes wide open (Bennett & Thorakyle 2003; Barbour, 1926).

03-09-03, 06:53 PM
Thanks very much Mark,

## These calculated molecules were left in the text by mistake
********
(1)
ORCA calculation (the ωB97M-V functional and the def2-TZVPD basis) on C29H37GeN5ReS2 as an isolated structure at a distorted geometry.

* LUMO energy (spin up / spin down): -0.58 / -1.58 eV
* Kohn-Sham gap (spin up / spin down): 5.88 / 4.86 eV
* HOMO energy (spin up / spin down): -6.47 / -6.44 eV
* relative energy (zero: lowest compared OMol25 entry of this formula, charge and spin): 8.0 kcal/mol
* 2S+1: 4
* expectation value of S²: 3.780
* net charge: 0

```
75
Properties=species:S:1:pos:R:3:forces:R:3:mulliken_spin:R:1
Re 0.3196 0.3393 0.6862 1.0 -0.7 0.4 2.410
C -0.2287 -1.0796 3.4937 -0.1 -0.3 0.0 0.042
N 0.2792 0.2124 2.9837 0.1 0.0 -0.5 0.032
C 1.6084 0.4017 3.6040 0.3 0.0 0.0 0.025
C -0.6234 1.3028 3.4127 -0.2 0.3 -0.1 -0.018
C -1.8877 1.3605 2.5710 0.0 -0.1 0.2 0.014
N -1.5966 1.7229 1.1719 0.4 -0.5 -0.2 0.037
C -1.4328 3.1799 1.0547 0.0 0.2 -0.1 0.009
C -2.7098 1.3239 0.2958 -0.1 -0.1 -0.1 0.043
H -0.3131 -1.0378 4.5845 0.0 0.1 0.0 0.000
H 0.4696 -1.8703 3.2261 0.0 0.0 -0.1 -0.005
H -1.1971 -1.3160 3.0659 0.0 0.0 0.0 -0.011
H 1.5173 0.4250 4.6941 -0.1 0.0 0.0 -0.001
H 2.0754 1.3205 3.2633 -0.1 0.0 0.0 -0.013
H 2.2559 -0.4248 3.3201 -0.1 0.0 0.0 0.001
H -0.0836 2.2469 3.3266 0.1 0.0 0.0 -0.009
H -0.9015 1.1699 4.4635 0.1 0.0 0.0 -0.001
H -2.5766 2.0879 3.0167 -0.1 0.0 0.0 0.001
H -2.3787 0.3877 2.5728 0.0 0.0 0.0 -0.012
H -2.3767 3.6797 1.3018 0.0 -0.1 0.0 0.000
H -1.1512 3.4391 0.0361 0.0 0.0 0.0 -0.005
H -0.6531 3.5457 1.7158 0.0 0.0 0.0 0.002
H -3.6536 1.7698 0.6304 0.0 0.0 0.0 0.000
H -2.8068 0.2421 0.2826 0.0 0.1 0.0 -0.015
H -2.5024 1.6637 -0.7183 0.0 0.0 0.0 0.000
C -0.2865 -0.2028 -3.6786 0.1 0.1 -0.1 -0.013
C 0.4013 0.8672 -4.2361 0.0 0.0 0.2 0.013
C 0.9257 1.8199 -3.3864 0.0 0.0 -0.1 -0.003
C 0.8137 1.6760 -2.0075 0.0 0.0 0.0 0.082
N 0.1919 0.5945 -1.4709 0.0 0.2 0.2 -0.021
C -0.3710 -0.2909 -2.3083 -0.2 -0.3 -0.1 0.029
C 1.3674 2.6267 -1.0408 0.0 0.0 0.3 -0.068
C 1.8935 3.8618 -1.4246 0.0 -0.1 -0.1 -0.004
C 2.4138 4.7208 -0.4767 0.0 0.1 0.0 0.014
C 2.3999 4.3460 0.8595 0.0 -0.1 0.0 -0.001
C 1.8505 3.1285 1.2330 0.1 0.0 0.0 -0.012
C 1.3116 2.2293 0.3084 -0.1 0.1 -0.1 0.069
H -0.7343 -0.9682 -4.2960 0.0 0.0 0.1 0.001
H 0.5378 0.9491 -5.3050 0.0 0.0 0.0 -0.001
H 1.4526 2.6705 -3.7900 0.1 0.0 0.0 0.001
H -0.9151 -1.1077 -1.8614 0.1 0.1 0.1 0.001
H 1.8855 4.1623 -2.4642 0.1 0.0 0.0 0.000
H 2.8338 5.6722 -0.7754 0.0 0.0 0.0 0.001
H 2.8184 5.0009 1.6141 0.0 0.0 0.0 0.000
H 1.8517 2.8993 2.2925 0.0 0.0 0.0 0.004
S 2.4777 -0.7512 0.7704 -0.9 0.9 0.0 0.144
C 2.7011 -1.4942 -0.8122 -0.2 -0.3 -0.3 0.084
C 3.1925 -0.7500 -1.8670 -0.1 0.0 0.0 -0.017
C 3.2946 -1.3088 -3.1398 -0.1 0.0 0.1 0.013
C 3.7784 -0.5129 -4.2133 0.1 0.3 -0.3 -0.005
N 4.1648 0.1754 -5.0535 -0.1 0.0 0.1 0.001
C 2.8708 -2.6404 -3.3335 0.0 0.1 0.4 0.000
C 2.4543 -3.4103 -2.2631 0.1 0.2 -0.4 -0.005
C 2.4003 -2.8790 -0.9572 -0.2 -0.1 0.7 0.013
S 1.9813 -3.8364 0.3944 0.1 -0.2 -0.2 0.059
C 2.8414 -3.1906 -4.6530 0.0 -0.2 -0.3 0.000
********

You are a asset to myself and this site, your knowledge never ceases to amaize me.

Every corner I trun i find something else about monitors that astounds me

Best Regards

Gregg M
03-14-03, 07:39 PM
Ah, Mark is just an old fartty nerd that needs to come to NY to hang with me and John A....

03-15-03, 01:27 AM
A farty nerd eh...damn you know me pretty well Greggy! Well, even at my age, I can still "hang" with the best of them, anytime any place....well, back to the dozen or so articles I have/am writing for magazines abroad....
cheers Smeggy-Greggy,